Data >
/*
(1)
114
Properties=species:S:1:pos:R:3:forces:R:3:lowdin_charge:R:1 method="wB97M-V/def2-TZVPD" charge=-1 orbital_gap_ev=6.699 lumo_energy_ev=-0.1 de_lowest_kj_mol=472.8
N -0.1408 -0.7446 -0.8061 0.374 1.868 4.073 -0.619
O -0.4868 0.3154 -1.3631 -0.369 -0.219 -1.307 -0.075
O 0.5952 -1.5736 -1.2691 0.847 -1.481 -2.463 -0.020
O -0.3828 -0.8426 0.4449 -0.926 -0.028 -0.262 -0.101
C -2.3378 -4.4096 2.5709 2.293 1.149 5.352 -0.042
C -2.5338 -4.8936 4.0469 0.806 3.217 -0.276 -0.030
C -2.0158 -4.0446 5.1739 0.753 0.852 -1.435 -0.007
C -1.1768 -2.7896 4.8259 -0.561 -1.606 -3.900 -0.073
C -0.8778 -2.5086 3.3639 -2.576 -2.659 2.539 0.037
C -1.4588 -3.3346 2.2799 -0.902 -0.414 5.474 -0.067
N -0.6268 -1.8556 5.9139 -0.731 1.745 -0.053 -0.304
O -0.4268 -0.5856 5.7349 -0.500 -4.634 -0.057 0.001
O -0.5198 -2.4106 6.9969 0.202 0.778 -0.787 0.052
H -2.8628 -4.8176 1.7849 -1.087 -1.328 -1.382 0.056
H -3.2158 -5.7686 4.3079 1.109 1.402 -0.536 0.099
H -2.2328 -4.2476 6.3299 0.497 0.311 -2.980 0.137
H -0.4208 -1.6146 3.0149 0.668 0.619 0.240 0.074
H -1.3808 -2.8886 1.3579 0.384 0.549 -2.298 0.048
C 3.9632 -2.8456 -0.1911 1.840 1.513 3.336 -0.026
C 4.6512 -3.7736 0.8999 3.501 7.312 -2.764 0.019
C 6.0162 -3.3016 1.5749 -5.351 1.708 -2.938 0.040
C 6.4532 -1.8376 1.4359 -1.744 -2.076 -2.079 -0.100
C 5.8122 -0.9476 0.4159 -3.275 -3.756 1.185 0.050
C 4.4752 -1.4746 -0.2971 3.992 -3.111 3.169 -0.040
N 7.6532 -1.3776 2.2779 -0.559 -3.208 1.895 -0.352
O 8.1172 -2.1876 3.1699 -1.522 2.198 -2.952 0.003
O 8.0342 -0.2646 2.1149 0.447 0.893 -0.249 0.085
H 2.9302 -3.0076 -0.6791 1.916 -0.219 0.885 0.108
H 4.2662 -4.7226 0.9479 -0.465 -2.265 0.642 0.026
H 6.2972 -4.1436 2.1829 1.148 0.705 0.578 0.069
H 5.9372 0.1364 0.2969 0.610 -0.705 0.292 0.083
H 3.9702 -0.7836 -0.8891 -0.660 1.036 -0.961 0.015
C -5.1948 -0.0996 -2.2431 -3.979 -0.897 0.869 -0.116
C -6.4368 0.2694 -1.4491 6.021 4.647 2.573 -0.026
C -6.3538 1.3974 -0.3751 3.091 -3.369 -2.733 0.069
C -4.8948 1.9534 -0.0551 -0.811 -1.917 -4.470 -0.092
C -3.7018 1.5854 -0.9641 -6.428 -3.141 0.277 0.105
C -3.9618 0.4574 -2.0241 2.598 3.761 1.146 -0.074
N -4.7638 3.0664 0.8589 1.160 1.447 3.505 -0.279
O -3.5398 3.3104 1.3109 -4.813 -0.568 -1.939 -0.020
O -5.8138 3.6474 1.3079 3.668 -1.820 -1.747 0.036
H -5.5208 -0.9606 -2.9861 1.606 1.958 1.236 0.131
H -7.2938 -0.2446 -1.6971 -1.978 -0.713 -0.153 0.038
H -7.3078 1.5354 0.1779 1.292 0.545 -0.133 0.090
H -2.7148 1.9334 -0.8351 0.836 0.556 0.222 0.051
H -3.0138 0.3844 -2.7101 -2.104 -0.492 1.483 0.107
C -1.4668 5.0724 -0.2721 6.379 0.372 -6.226 -0.049
C -0.9648 6.0674 -1.2831 3.693 -5.374 -1.792 0.037
C 0.2002 5.7464 -2.3301 -3.938 -6.265 8.565 0.091
C 0.9052 4.4394 -2.0331 -3.656 -0.459 3.042 -0.110
C 0.4962 3.4194 -0.8951 -2.926 3.579 -0.852 0.137
C -0.8128 3.8494 -0.0921 5.413 3.310 -7.857 -0.029
N 2.0492 4.1084 -2.8181 3.460 -2.438 -0.863 -0.350
O 2.7322 3.0824 -2.4721 -1.903 2.359 -0.421 -0.005
O 2.4062 4.7724 -3.8001 -1.223 -0.232 1.432 0.055
H -2.2688 5.3574 0.2059 -3.955 1.220 2.991 0.028
H -1.3918 6.9954 -1.3431 -1.107 2.144 -0.166 0.035
H 0.7872 6.3634 -2.8201 1.908 3.420 -2.823 0.021
H 0.9782 2.3954 -0.6211 -0.821 2.343 -0.988 0.097
H -0.9038 3.4244 0.7489 -1.345 -4.042 5.930 -0.003
C 3.5372 0.1364 -3.7111 3.601 0.107 0.432 -0.078
C 4.9042 0.0834 -4.5521 -5.734 -1.234 -3.904 0.027
C 4.6812 -0.3706 -6.0171 -1.916 -1.476 4.547 0.016
C 3.3452 -1.0066 -6.3991 -1.126 3.202 3.729 -0.082
C 2.0952 -0.7866 -5.5571 9.013 1.759 3.221 0.106
C 2.2712 -0.2606 -4.1001 2.001 -0.977 -5.398 -0.039
N 3.1392 -1.5326 -7.7671 3.551 1.498 0.122 -0.403
O 4.1562 -1.5896 -8.4711 -0.478 -0.266 0.652 0.034
O 2.0582 -1.7586 -8.1751 -2.620 -0.779 -0.311 0.091
H 3.5822 0.4354 -2.5961 0.299 -0.178 -2.118 0.087
H 5.9042 0.4904 -4.3501 -0.832 -0.221 0.574 0.072
H 5.5712 -0.5856 -6.6041 -0.395 0.363 -0.234 0.076
H 1.2662 -1.1226 -5.9481 -4.514 -1.605 -1.723 0.010
H 1.4762 -0.1056 -3.4231 -1.005 -0.192 0.437 0.057
C -2.6978 0.9514 3.1759 -3.896 -7.745 3.527 -0.082
*/
To do >
Please reproduce the lines further above from the one with "1.958 1.236" to the one with "2.359 -0.421" exactly.
Written answer >
H -5.5208 -0.9606 -2.9861 1.606 1.958 1.236 0.131
H -7.2938 -0.2446 -1.6971 -1.978 -0.713 -0.153 0.038
H -7.3078 1.5354 0.1779 1.292 0.545 -0.133 0.090
H -2.7148 1.9334 -0.8351 0.836 0.556 0.222 0.051
H -3.0138 0.3844 -2.7101 -2.104 -0.492 1.483 0.107
C -1.4668 5.0724 -0.2721 6.379 0.372 -6.226 -0.049
C -0.9648 6.0674 -1.2831 3.693 -5.374 -1.792 0.037
C 0.2002 5.7464 -2.3301 -3.938 -6.265 8.565 0.091
C 0.9052 4.4394 -2.0331 -3.656 -0.459 3.042 -0.110
C 0.4962 3.4194 -0.8951 -2.926 3.579 -0.852 0.137
C -0.8128 3.8494 -0.0921 5.413 3.310 -7.857 -0.029
N 2.0492 4.1084 -2.8181 3.460 -2.438 -0.863 -0.350
O 2.7322 3.0824 -2.4721 -1.903 2.359 -0.421 -0.005